
Mst sck t b blnd ND rtrdd.

@KefkaXI: Why would you pass? It's free if you bought an original copy of mass effect.

Data records that have nothing to do with the article:
~~~
1) VASP calculation (GGA-PBE) on crystalline Sn2P3O10 at its relaxed geometry.

abc: 12.6258 8.0385 9.7747
angles: 90.00 103.43 90.00
Closest atoms and distances in Å follow each position.
Space group P2_1/c (No. 14)
Unique sites:
Sn  0.0910  0.1078  0.2336  3 O 2.15-2.28
Sn  0.3528  0.5523  0.5480  4 O 2.05-2.20
P  0.1490  0.7179  0.5450  4 O 1.51-1.64
P  0.2354  0.0746  0.5920  4 O 1.50-1.61
P  0.4471  0.5809  0.2276  4 O 1.52-1.62
O  0.0265  0.7199  0.5021  1 P 1.51
O  0.1882  0.6032  0.1214  2 P 1.60-1.64
O  0.1930  0.1980  0.6832  1 P 1.51
O  0.1986  0.5827  0.6582  1 P 1.57
O  0.2127  0.6918  0.4292  1 P 1.55
O  0.2184  0.1135  0.4380  1 P 1.50
O  0.3648  0.0671  0.6572  2 P 1.61-1.62
O  0.4192  0.7241  0.1248  1 P 1.52
O  0.4327  0.6089  0.3781  1 P 1.54
O  0.4358  0.0218  0.2632  1 P 1.54

Magnetization   1.00 μB per formula unit


2) VASP calculation (GGA-PBE) on crystalline Sn2P3O10 at its relaxed geometry.

abc: 5.1649 9.4613 9.4118
angles: 90.00 102.27 90.00
Closest atoms and distances in Å follow each position.
Space group P2_1/m (No. 11)
Unique sites:
Sn  0.0482  0.0431  0.3407  3 O 2.13-2.21
P  0.2633  0.2500  0.8527  4 O 1.51-1.59
P  0.4485  0.2500  0.1792  4 O 1.53-1.62
P  0.4872  0.7500  0.4094  4 O 1.52-1.62
O  0.1056  0.1138  0.8312  1 P 1.51
O  0.2328  0.2500  0.4897  1 P 1.55
O  0.2536  0.7500  0.7465  1 P 1.55
O  0.3061  0.1138  0.2070  1 P 1.53
O  0.3433  0.6144  0.4303  1 P 1.52
O  0.4574  0.2500  0.0086  2 P 1.59-1.62
O  0.4852  0.2500  0.7588  2 P 1.59-1.62

Magnetization   0.00 μB per formula unit


Going by the energies, 2) is most stable and the next is 0.049 eV/atom up.


1) VASP calculation (GGA-PBE) on crystalline Sn2P3O10 at its relaxed geometry.

abc: 11.2283 10.5561 10.1916
angles: 90.00 119.84 90.00
Closest atoms and distances in Å follow each position.
Space group C2/c (No. 15)
Unique sites:
Sn  0.1623  0.0163  0.0935  4 O 2.14-2.32
P  0.0000  0.4038  0.7500  4 O 1.52-1.60
P  0.1662  0.2405  0.6660  4 O 1.52-1.65
O  0.0258  0.3114  0.6427  2 P 1.60-1.65
O  0.1266  0.4815  0.8508  1 P 1.52
O  0.1325  0.1923  0.5106  1 P 1.52
O  0.1876  0.1201  0.7645  1 P 1.56
O  0.2192  0.1615  0.2612  1 P 1.53

Magnetization   0.99 μB per formula unit


2) VASP calculation (GGA-PBE) on crystalline Sn2P3O10 at its relaxed geometry.

abc: 12.0137 10.1679 9.6053
angles: 90.00 118.74 90.00
Closest atoms and distances in Å follow each position.
Space group C2/c (No. 15)
Unique sites:
Sn  0.1812  0.0393  0.0842  4 O 2.16-2.37
P  0.0000  0.3973  0.7500  4 O 1.51-1.60
P  0.1463  0.2272  0.6476  4 O 1.53-1.65
O  0.0173  0.2984  0.6318  2 P 1.60-1.65
O  0.1114  0.1755  0.4825  1 P 1.53
O  0.1183  0.4780  0.8481  1 P 1.51
O  0.1763  0.1045  0.7566  1 P 1.56
O  0.2492  0.3328  0.7120  1 P 1.53

Magnetization   1.00 μB per formula unit


Going by the energies, 1) is most stable and the next is 0.019 eV/atom up.


1) VASP calculation (GGA-PBE) on crystalline SnP2O7 at its relaxed geometry.

abc: 7.0568 8.8361 9.5428
~~~

It's not like a game is of lesser quality when you buy it used (unless the disc is damaged, in which case the game won't work and you can get your money back). Why shouldn't the people who made the product be paid for it when people want it? Why should retailers get all the profit when selling used games at half

Ow my hard drive :(

@Derfud: You said it. Yeah he was pretty amazing, and good for him, but it's bullshit that he was allowed to compete. Professional sports people should not be allowed to compete in the olympics.

Haha, OMG that thing looks so stupid and wrong.

Bioshock 3 should be a prequel that takes place prior to and during the fall of rapture. You should play the part of a Soviet/American/British spy sent in to infiltrate the populace and bring the society down from the inside. Brief gameplay on dry land, going to gameplay on a ship. You should have access to a minisub

Entry from Materials Project: crystalline Mg14VSiO16 at its relaxed geometry (PBE with a Hubbard U).

total magnetization = 3.00 μB/f.u.
MP2020-corrected energy = -6.4514 eV per atom
ΔH_f (0 K) = -90.4 eV/f.u.

Cell: 8.598 8.598 4.299 Å, 90.00 90.00 90.00°
Space group P4/mmm (No. 123)
Asymmetric unit:
Mg (0.000, 0.251, 0.000) x4
Mg (0.000, 0.500, 0.500) x2
Mg (0.247, 0.500, 0.000) x4
Mg (0.249, 0.249, 0.500) x4
V (0.000, 0.000, 0.500) x1
Si (0.500, 0.500, 0.500) x1
O (0.000, 0.000, 0.000) x1
O (0.000, 0.254, 0.500) x4
O (0.000, 0.500, 0.000) x2
O (0.239, 0.500, 0.500) x4
O (0.250, 0.250, 0.000) x4
O (0.500, 0.500, 0.000) x1

---

Entry from Materials Project: crystalline Mg3V2Si3O12 at its relaxed geometry (PBE with a Hubbard U).

total magnetization = 4.00 μB/f.u.
MP2020-corrected energy = -7.9327 eV per atom
ΔH_f (0 K) = -60.0 eV/f.u.

Cell: 11.834 11.834 11.834 Å, 90.00 90.00 90.00°
Space group Ia-3d (No. 230)
Asymmetric unit:
Mg (0.000, 0.250, 0.125) x24
V (0.000, 0.000, 0.000) x16
Si (0.000, 0.250, 0.375) x24
O (0.034, 0.054, 0.658) x96

---

Entry from Materials Project: crystalline Mg6VSiO8 at its relaxed geometry (PBE with a Hubbard U).

total magnetization = 2.99 μB/f.u.
MP2020-corrected energy = -6.5786 eV per atom
ΔH_f (0 K) = -41.6 eV/f.u.

Cell: 4.342 4.342 8.704 Å, 90.00 90.00 90.00°
Space group P4/mmm (No. 123)
Asymmetric unit:
Mg (0.000, 0.000, 0.000) x1
Mg (0.000, 0.000, 0.500) x1
Mg (0.000, 0.500, 0.248) x4
V (0.500, 0.500, 0.000) x1
Si (0.500, 0.500, 0.500) x1
O (0.000, 0.000, 0.250) x2
O (0.000, 0.500, 0.000) x2
O (0.000, 0.500, 0.500) x2
O (0.500, 0.500, 0.245) x2

---

Entry from Materials Project: crystalline Mg3V2Si4O14 at its relaxed geometry (PBE with a Hubbard U).

total magnetization = 4.00 μB/f.u.
MP2020-corrected energy = -7.9577 eV per atom
ΔH_f (0 K) = -69.1 eV/f.u.

Cell: 16.824 7.687 9.868 Å, 90.00 123.95 90.00°
Space group C2/c (No. 15)
Asymmetric unit:
Mg (0.000, 0.111, 0.250) x4
Mg (0.177, 0.405, 0.405) x8
V (0.000, 0.298, 0.750) x4
V (0.000, 0.500, 0.000) x4
Si (0.121, 0.141, 0.104) x8
Si (0.183, 0.217, 0.709) x8
O (0.049, 0.082, 0.915) x8
O (0.073, 0.274, 0.174) x8
O (0.082, 0.461, 0.923) x8
O (0.100, 0.347, 0.687) x8
O (0.160, 0.019, 0.741) x8
O (0.200, 0.209, 0.562) x8
O (0.219, 0.215, 0.123) x8

---

Entry from Materials Project: crystalline Mg3Si4W2O14 at its relaxed geometry (PBE with a Hubbard U).

total magnetization = 6.00 μB/f.u.
MP2020-corrected energy = -8.0105 eV per atom
ΔH_f (0 K) = -62.6 eV/f.u.

Cell: 17.461 7.663 10.104 Å, 90.00 123.78 90.00°
Space group C2/c (No. 15)
Asymmetric unit:
Mg (0.000, 0.121, 0.250) x4
Mg (0.176, 0.393, 0.397) x8
Si (0.121, 0.133, 0.101) x8
Si (0.189, 0.223, 0.714) x8
W (0.000, 0.306, 0.750) x4
W (0.000, 0.500, 0.000) x4
O (0.053, 0.075, 0.915) x8
O (0.072, 0.265, 0.166) x8
O (0.082, 0.498, 0.411) x8
O (0.113, 0.357, 0.703) x8
O (0.157, 0.027, 0.732) x8
O (0.207, 0.213, 0.572) x8
O (0.213, 0.222, 0.120) x8

---

BC2 is going to be much better than that shit-show Modern warfare. heck BC1 was better than MW. I've played them all, and Battlefield is by far the best tactical shooter experience out there.

Is this an old article for Assassin's Creed 2 or are they saying that Assassin's Creed 3 is going to be the exact same as AC2?

I dont want to wear stupid goggles over my glasses. :(

I'm interested. Not convinced it will be any better, but also not convinced that it won't be better either. The fact that we worked on Falcon 3 is interesting. Iron man's suit is less a suit of powered armor and more of a wearable airplane. I was upset that they didn't recognize this in the first game when the movie

@Souloni: What is your basis for this comment?

Only 15% of it is worth dowloading.

It totally sucks, I've been hounding best buy for awhile and they refuse to stock any. I guess they'd rather sell whole consoles than harddrives. I need a larger harddrive but I don't want to have to buy a whole new console to get it. :(

(Materials data, as found in the file)
~~~
No. 1
Here is crystalline CaMg14Ga at its relaxed geometry from the Materials Project database. Energies are from PBE-GGA.

Values from the calculation:
Energy of formation from the pure elements = -0.39 eV/f.u.
Space group = Amm2
Total magnetic moment = 0.000 μB/f.u.
Density = 2.00 g/cm3

Cell lengths 6.443, 6.341, 10.502 Å; angles 90.00, 90.00, 119.48 degrees
Atoms (fractional coordinates):
Ca1 0.157 0.329 0.125
Mg1 0.168 0.334 0.625
Mg2 0.162 0.831 0.625
Mg3 0.656 0.322 0.125
Mg4 0.666 0.337 0.625
Mg5 0.656 0.834 0.125
Mg6 0.666 0.829 0.625
Mg7 0.335 0.163 0.382
Mg8 0.335 0.163 0.868
Mg9 0.335 0.672 0.382
Mg10 0.335 0.672 0.868
Mg11 0.830 0.165 0.386
Mg12 0.830 0.165 0.864
Mg13 0.840 0.670 0.366
Mg14 0.840 0.670 0.884
Ga1 0.188 0.844 0.125


No. 2
Here is crystalline SmMn2Ni3 at its relaxed geometry from the Materials Project database. Energies are from PBE-GGA.

Values from the calculation:
Energy of formation from the pure elements = -1.02 eV/f.u.
Space group = P6/mmm
Total magnetic moment = 7.830 μB/f.u.
Density = 8.20 g/cm3

Cell lengths 5.054, 5.054, 3.996 Å; angles 90.00, 90.00, 120.00 degrees
Atoms (fractional coordinates):
Sm1 0.000 0.000 0.000
Mn1 0.667 0.333 0.000
Mn2 0.333 0.667 0.000
Ni1 0.500 0.500 0.500
Ni2 0.500 0.000 0.500
Ni3 0.000 0.500 0.500


No. 3
Here is crystalline Ti3CoS6 at its relaxed geometry from the Materials Project database. Energies are from PBE-GGA.

Values from the calculation:
Energy of formation from the pure elements = -14.35 eV/f.u.
Space group = P6_322
Total magnetic moment = 0.020 μB/f.u.
Density = 3.99 g/cm3

Cell lengths 5.760, 5.760, 11.438 Å; angles 90.00, 90.00, 120.00 degrees
Atoms (fractional coordinates):
Ti1 0.000 0.000 0.000
Ti2 0.000 0.000 0.500
Ti3 0.333 0.667 0.505
Ti4 0.667 0.333 0.005
Ti5 0.667 0.333 0.495
Ti6 0.333 0.667 0.995
Co1 0.333 0.667 0.250
Co2 0.667 0.333 0.750
S1 0.330 0.988 0.131
S2 0.012 0.342 0.131
S3 0.670 0.012 0.631
S4 0.988 0.330 0.869
S5 0.658 0.670 0.131
S6 0.988 0.658 0.631
S7 0.342 0.012 0.869
S8 0.012 0.670 0.369
S9 0.342 0.330 0.631
S10 0.658 0.988 0.369
S11 0.670 0.658 0.869
S12 0.330 0.342 0.369

* * * * *

Entry 1:
Crystalline Ba2ErV3O11 at its relaxed geometry. Source: the Materials Project, functional PBE with a Hubbard U.

## Properties
Symmetry: P2_1/c
Magnetic moment (μB per cell): 0.002
E_form (eV/f.u.): -51.10
Calculated total energy (eV/atom): -7.560

Cell lengths 12.4717, 7.7513, 11.3077 Å; angles 90.00, 103.72, 90.00 degrees
Fractional positions:
Ba1 0.0535 0.2464 0.3888
Ba2 0.0535 0.2536 0.8888
Ba3 0.2736 0.7233 0.9436
Ba4 0.2736 0.7767 0.4436
Ba5 0.7264 0.2233 0.5564
Ba6 0.7264 0.2767 0.0564
Ba7 0.9465 0.7464 0.1112
Ba8 0.9465 0.7536 0.6112
Er1 0.4957 0.0024 0.2166
Er2 0.4957 0.4976 0.7166
Er3 0.5043 0.5024 0.2834
Er4 0.5043 0.9976 0.7834
V1 0.1854 0.0191 0.1721
V2 0.1854 0.4809 0.6721
V3 0.1899 0.0190 0.6730
V4 0.1899 0.4810 0.1730
V5 0.4085 0.2432 0.9781
V6 0.4085 0.2568 0.4781
V7 0.5915 0.7432 0.5219
V8 0.5915 0.7568 0.0219
V9 0.8101 0.5190 0.8270
~~~

@avgwhiteguy: Yeah his style would be perfect. He also did Riddick: Dark Fury and Animatrix: Matriculated. That said, I think what would really sell it is the voice acting. IT would need to really nail the "This is what I am thinking in my head" style of dialogue that David Lynch did so well in his version.

Her head is too small for her body, and for some reason it bothers me enough to never want to play this game.

No No NO! Just don't bother! You can't make a movie out of dune! The story is incomprehensable to the mass public, and the only way to make people understand it is to either wreck it or make it a 6 hour movie (minimum!). The ONLY way that Dune will ever be successful as a motion picture is to make it an animated

I guess if you figure what kind of impact avatar had, then maybe it deserves it. I liked Moon (alot) and D9 better, but they didn't create the same splash. When I got back from holidays I heard "Have you seen avatar?!" so many times I've lost count. Okay I didn't bother counting, but it was alot! Oh and fuck Star